== Brief ==
Please restate only the last part of the material below, starting with the line that has "Ti1 0.0000".

== Contents ==
'''
Structure and simulated powder XRD pattern of Li8TiMn3P6O24 (the GGA+U geometry in the Materials Project; Cu Ka).
Lines closer than 0.1° are merged.

Most intense lines, 2θ from 10° to 90°, in order of falling intensity:
two_theta, d/Å, I (rel.)
23.21, 3.832, 100
31.68, 2.824, 45
19.91, 4.460, 37
34.38, 2.608, 25
13.95, 6.348, 24
47.45, 1.916, 21
28.12, 3.174, 17
19.65, 4.518, 16
30.50, 2.930, 14
59.90, 1.544, 13

Structure:
a b c (Å): 9.0354 9.0354 21.7093
angles (deg): 90.00 90.00 120.00
Space group R3 (No. 146, hexagonal axes)
One atom of each set of equivalent atoms:
Li1 0.0000 0.0000 0.0000 (multiplicity 3)
Li2 0.0000 0.0000 0.4917 (multiplicity 3)
Li3 0.0021 0.4085 0.2396 (multiplicity 9)
Li4 0.0917 0.7489 0.0717 (multiplicity 9)
Ti1 0.0000 0.0000 0.8164 (multiplicity 3)
Mn1 0.0000 0.0000 0.1268 (multiplicity 3)
Mn2 0.0000 0.0000 0.3172 (multiplicity 3)
Mn3 0.0000 0.0000 0.6226 (multiplicity 3)
P1 0.0028 0.2991 0.7155 (multiplicity 9)
P2 0.0267 0.6689 0.8794 (multiplicity 9)
O1 0.0010 0.8228 0.5505 (multiplicity 9)
O2 0.0078 0.2224 0.6529 (multiplicity 9)
O3 0.0124 0.1858 0.7682 (multiplicity 9)
O4 0.0167 0.7871 0.1518 (multiplicity 9)
O5 0.0242 0.1951 0.3914 (multiplicity 9)
O6 0.1440 0.6992 0.9345 (multiplicity 9)
O7 0.1582 0.4837 0.7177 (multiplicity 9)
O8 0.1651 0.6729 0.5428 (multiplicity 9)

~~~~~

No. 1
For H3PtF8, a DFT-relaxed cell (PBE, Alexandria) gives the calculated X-ray diffraction stick pattern in this record (λ = 1.5418 Å (Cu Kα)).
Neutral-atom scattering factors, no anomalous dispersion.

Atomic structure:
```
H3PtF8
1.0
5.764 0.000 0.000
0.000 10.170 0.000
-1.851 0.000 5.737
H Pt F
6 2 16
Direct
0.063 0.000 0.272
0.331 0.904 0.909
0.396 0.392 0.824
0.604 0.892 0.176
0.669 0.404 0.091
0.937 0.500 0.728
0.140 0.366 0.341
0.860 0.866 0.659
0.009 0.725 0.546
0.063 0.287 0.041
0.187 0.957 0.760
0.215 0.017 0.249
0.216 0.448 0.659
0.276 0.514 0.234
0.450 0.282 0.441
0.478 0.842 0.043
0.522 0.342 0.957
0.550 0.782 0.559
0.724 0.014 0.766
0.784 0.948 0.341
0.785 0.517 0.751
0.813 0.457 0.240
0.937 0.787 0.959
0.991 0.225 0.454
```

Most intense lines, 2θ from 10° to 90°, sorted by position:
d [Å]  intensity
5.737  26
5.486  37
5.085  100
4.997  97
4.828  76
4.313  93
3.469  30
2.866  25
2.761  53
2.545  29

---

No. 2
For Ca2SnCl2O2, a DFT-relaxed cell (PBE, Alexandria) gives the calculated X-ray diffraction stick pattern in this record (λ = 1.5418 Å (Cu Kα)).
Neutral-atom scattering factors, no anomalous dispersion.

Atomic structure:
```
Ca2SnCl2O2
1.0
-2.242 2.242 7.310
2.242 -2.242 7.310
2.242 2.242 -7.310
Ca Sn Cl O
2 1 2 2
Direct
0.109 0.109 0.000
0.891 0.891 0.000
0.500 0.500 0.000
0.298 0.298 0.000
0.702 0.702 0.000
0.000 0.500 0.500
0.500 0.000 0.500
```

Most intense lines, 2θ from 10° to 90°, sorted by position:
d [Å]  intensity
7.310  59
4.287  32
3.300  32
3.171  82
2.449  100
2.242  49
1.654  56
1.585  19
1.417  20
1.144  17

---

No. 3
For Na2CeF6, a DFT-relaxed cell (PBE, Alexandria) gives the calculated X-ray diffraction stick pattern in this record (λ = 1.5418 Å (Cu Kα)).
Neutral-atom scattering factors, no anomalous dispersion.

Atomic structure:
```
Na2CeF6
1.0
6.028 0.000 0.000
-3.014 5.221 0.000
0.000 0.000 3.751
Na Ce F
2 1 6
Direct
0.333 0.667 0.068
0.667 0.333 0.932
0.000 0.000 0.500
0.000 0.367 0.500
0.000 0.749 0.000
0.251 0.251 0.000
0.367 0.000 0.500
0.633 0.633 0.500
0.749 0.000 0.000
```

Most intense lines, 2θ from 10° to 90°, sorted by position:
d [Å]  intensity
5.221  100
3.046  60
3.014  30
2.610  13
2.349  24
2.143  46
1.765  13
1.746  42
1.740  20
1.141  12

---

No. 4
For CsTi2Bi2O7, a DFT-relaxed cell (PBE, Alexandria) gives the calculated X-ray diffraction stick pattern in this record (λ = 1.5418 Å (Cu Kα)).
Neutral-atom scattering factors, no anomalous dispersion.

Atomic structure:
```
CsTi2Bi2O7
1.0
3.001 1.733 8.646
-3.001 1.733 8.646
0.000 -3.465 8.646
Cs Ti Bi O
1 2 2 7
Direct
0.000 0.000 0.000
0.429 0.429 0.429
0.571 0.571 0.571
0.211 0.211 0.211
'''

== Here it is ==
Ti1 0.0000 0.0000 0.8164 (multiplicity 3)
Mn1 0.0000 0.0000 0.1268 (multiplicity 3)
Mn2 0.0000 0.0000 0.3172 (multiplicity 3)
Mn3 0.0000 0.0000 0.6226 (multiplicity 3)
P1 0.0028 0.2991 0.7155 (multiplicity 9)
P2 0.0267 0.6689 0.8794 (multiplicity 9)
O1 0.0010 0.8228 0.5505 (multiplicity 9)
O2 0.0078 0.2224 0.6529 (multiplicity 9)
O3 0.0124 0.1858 0.7682 (multiplicity 9)
O4 0.0167 0.7871 0.1518 (multiplicity 9)
O5 0.0242 0.1951 0.3914 (multiplicity 9)
O6 0.1440 0.6992 0.9345 (multiplicity 9)
O7 0.1582 0.4837 0.7177 (multiplicity 9)
O8 0.1651 0.6729 0.5428 (multiplicity 9)

~~~~~

No. 1
For H3PtF8, a DFT-relaxed cell (PBE, Alexandria) gives the calculated X-ray diffraction stick pattern in this record (λ = 1.5418 Å (Cu Kα)).
Neutral-atom scattering factors, no anomalous dispersion.

Atomic structure:
```
H3PtF8
1.0
5.764 0.000 0.000
0.000 10.170 0.000
-1.851 0.000 5.737
H Pt F
6 2 16
Direct
0.063 0.000 0.272
0.331 0.904 0.909
0.396 0.392 0.824
0.604 0.892 0.176
0.669 0.404 0.091
0.937 0.500 0.728
0.140 0.366 0.341
0.860 0.866 0.659
0.009 0.725 0.546
0.063 0.287 0.041
0.187 0.957 0.760
0.215 0.017 0.249
0.216 0.448 0.659
0.276 0.514 0.234
0.450 0.282 0.441
0.478 0.842 0.043
0.522 0.342 0.957
0.550 0.782 0.559
0.724 0.014 0.766
0.784 0.948 0.341
0.785 0.517 0.751
0.813 0.457 0.240
0.937 0.787 0.959
0.991 0.225 0.454
```

Most intense lines, 2θ from 10° to 90°, sorted by position:
d [Å]  intensity
5.737  26
5.486  37
5.085  100
4.997  97
4.828  76
4.313  93
3.469  30
2.866  25
2.761  53
2.545  29

---

No. 2
For Ca2SnCl2O2, a DFT-relaxed cell (PBE, Alexandria) gives the calculated X-ray diffraction stick pattern in this record (λ = 1.5418 Å (Cu Kα)).
Neutral-atom scattering factors, no anomalous dispersion.

Atomic structure:
```
Ca2SnCl2O2
1.0
-2.242 2.242 7.310
2.242 -2.242 7.310
2.242 2.242 -7.310
Ca Sn Cl O
2 1 2 2
Direct
0.109 0.109 0.000
0.891 0.891 0.000
0.500 0.500 0.000
0.298 0.298 0.000
0.702 0.702 0.000
0.000 0.500 0.500
0.500 0.000 0.500
```

Most intense lines, 2θ from 10° to 90°, sorted by position:
d [Å]  intensity
7.310  59
4.287  32
3.300  32
3.171  82
2.449  100
2.242  49
1.654  56
1.585  19
1.417  20
1.144  17

---

No. 3
For Na2CeF6, a DFT-relaxed cell (PBE, Alexandria) gives the calculated X-ray diffraction stick pattern in this record (λ = 1.5418 Å (Cu Kα)).
Neutral-atom scattering factors, no anomalous dispersion.

Atomic structure:
```
Na2CeF6
1.0
6.028 0.000 0.000
-3.014 5.221 0.000
0.000 0.000 3.751
Na Ce F
2 1 6
Direct
0.333 0.667 0.068
0.667 0.333 0.932
0.000 0.000 0.500
0.000 0.367 0.500
0.000 0.749 0.000
0.251 0.251 0.000
0.367 0.000 0.500
0.633 0.633 0.500
0.749 0.000 0.000
```

Most intense lines, 2θ from 10° to 90°, sorted by position:
d [Å]  intensity
5.221  100
3.046  60
3.014  30
2.610  13
2.349  24
2.143  46
1.765  13
1.746  42
1.740  20
1.141  12

---

No. 4
For CsTi2Bi2O7, a DFT-relaxed cell (PBE, Alexandria) gives the calculated X-ray diffraction stick pattern in this record (λ = 1.5418 Å (Cu Kα)).
Neutral-atom scattering factors, no anomalous dispersion.

Atomic structure:
```
CsTi2Bi2O7
1.0
3.001 1.733 8.646
-3.001 1.733 8.646
0.000 -3.465 8.646
Cs Ti Bi O
1 2 2 7
Direct
0.000 0.000 0.000
0.429 0.429 0.429
0.571 0.571 0.571
0.211 0.211 0.211